Does Webflow support Rem & Em for text and if so, where do I set the initial value for the site or page?

Published on
September 22, 2023

Yes, Webflow does support the use of rem and em units for setting font sizes in text elements. These units are great for creating flexible and scalable typography that adapts to different screen sizes and device settings.

• What comes next are crystal structures, not part of the piece:
<<<
Below is an optimized crystal structure of ReOs2Pb, with properties calculated at the PBEsol level.

a = 2.972 Å, b = 4.628 Å, c = 4.685 Å
α = 90.00°, β = 90.00°, γ = 90.00°
Space group Pmmm (No. 47)
Unique sites:
Re (0.000, 0.000, 0.000) [1 per cell]
Os (0.000, 0.500, 0.500) [1 per cell]
Os (0.500, 0.500, 0.000) [1 per cell]
Pb (0.500, 0.000, 0.500) [1 per cell]

Computed properties:
E_form, eV per formula unit: 4.37

~~~~~

Record 1
Entry from Alexandria: crystalline RbNbN3 at its relaxed geometry (PBE-GGA).

Lattice parameters (Å, degrees): 4.222 4.222 4.222 90.00 90.00 90.00
Sites, in units of the cell vectors:
Rb1 0.000 0.000 0.000
Nb1 0.500 0.500 0.500
N1 0.000 0.500 0.500
N2 0.500 0.000 0.500
N3 0.500 0.500 0.000

Summary:
**Space-group type**: Pm-3m
**Density of states at the Fermi level**: 0.27 states/eV/atom

***

Record 2
Entry from Alexandria: crystalline RbNb3N at its relaxed geometry (PBE-GGA).

Lattice parameters (Å, degrees): 4.479 4.479 4.479 90.00 90.00 90.00
Sites, in units of the cell vectors:
Rb1 0.000 0.000 0.000
Nb1 0.000 0.500 0.500
Nb2 0.500 0.000 0.500
Nb3 0.500 0.500 0.000
N1 0.500 0.500 0.500

Summary:
**Space-group type**: Pm-3m
**Density of states at the Fermi level**: 1.17 states/eV/atom
**Polymorph energy (0 for the lowest one)**: 0.000 eV per atom

***

| no. | formation energy without anion corrections (meV/atom) | electronic total energy (eV/atom) |
| --- | --- | --- |
| 1 | 315 | -6.89 |
| 2 | 788 | -7.11 |

~~~~~

Record 1
DFT (GGA-PBE) results for crystalline Sm3Tc2Ge7 at its relaxed geometry.

Density: 7.7 g cm⁻³
DOS at the Fermi energy: 5.8 states/eV/f.u.
DFT formation energy: -0.51 eV/atom
M_tot: 0.00 μB/atom

Unit cell a=4.4253 b=4.3454 c=13.1781 alpha=90.00 beta=99.54 gamma=90.00
Fractional positions:
Sm 0.0000 0.0000 0.0000
Sm 0.3163 0.5000 0.6311
Sm 0.6837 0.5000 0.3689
Tc 0.1270 0.0000 0.2537
Tc 0.8730 0.0000 0.7463
Ge 0.0866 0.5000 0.1708
Ge 0.2207 0.0000 0.4415
Ge 0.4121 0.0000 0.8256
Ge 0.5000 0.5000 0.0000
Ge 0.5879 0.0000 0.1744
Ge 0.7793 0.0000 0.5585
Ge 0.9134 0.5000 0.8292

---

Record 2
DFT (GGA-PBE) results for crystalline Sm2Tc3Ge5 at its relaxed geometry.

Density: 8.5 g cm⁻³
DOS at the Fermi energy: 6.8 states/eV/f.u.
DFT formation energy: -0.50 eV/atom
M_tot: 0.04 μB/atom

Unit cell a=8.6419 b=8.6419 c=8.6419 alpha=109.55 beta=83.74 gamma=140.75
Fractional positions:
Sm 0.1362 0.2379 0.3741
Sm 0.3638 0.7379 0.1017
Sm 0.6362 0.2621 0.8983
Sm 0.8638 0.7621 0.6259
Tc 0.1498 0.9157 0.0655
Tc 0.2500 0.7500 0.5000
Tc 0.3502 0.4157 0.7659
Tc 0.6498 0.5843 0.2341
Tc 0.7500 0.2500 0.5000
Tc 0.8502 0.0843 0.9345
Ge 0.0440 0.7500 0.2940
Ge 0.0904 0.6829 0.7733
Ge 0.2500 0.2500 0.0000
Ge 0.4096 0.1829 0.5926
Ge 0.4560 0.7500 0.7060
Ge 0.5440 0.2500 0.2940
Ge 0.5904 0.8171 0.4074
Ge 0.7500 0.7500 0.0000
Ge 0.9096 0.3171 0.2267
Ge 0.9560 0.2500 0.7060

---

Record 3
DFT (GGA-PBE) results for crystalline SmTcGe at its relaxed geometry.

Density: 9.0 g cm⁻³
DOS at the Fermi energy: 3.9 states/eV/f.u.
>>>

To set the initial value for the site or page, follow these steps:

Calculated crystals, kept here for reference
********
1.
DFT (PBE) results for a geometry-optimized Y2MgSe structure.

abc: 3.8714 3.8714 25.3114
angles: 90.00 90.00 120.00
With the nearest neighbours (Å) after each atom.
Space group R-3m (No. 166, hexagonal axes)
Unique sites:
Y  0.0000  0.0000  0.2366 (multiplicity 6)  3 Se 2.85
Mg  0.0000  0.0000  0.0000 (multiplicity 3)  6 Y 3.32
Se  0.0000  0.0000  0.5000 (multiplicity 3)  6 Y 2.85

## Properties
- ΔE_f (raw) (eV per formula unit) = -3.44
- E above lowest polymorph (eV per atom) = 0.000
- VASP energy (eV/atom) = -5.3616



2.
DFT (PBE) results for a geometry-optimized Y2MgSe structure.

abc: 3.8417 5.8797 9.9495
angles: 90.00 90.00 90.00
With the nearest neighbours (Å) after each atom.
Space group Immm (No. 71)
Unique sites:
Y  0.0000  0.0000  0.2074 (multiplicity 4)  2 Se 2.82
Mg  0.0000  0.5000  0.0000 (multiplicity 2)  8 Y 3.49-3.59, 4 Se 3.51, 2 Mg 3.84
Se  0.0000  0.5000  0.5000 (multiplicity 2)  4 Y 2.82

## Properties
- ΔE_f (raw) (eV per formula unit) = -2.32
- E above lowest polymorph (eV per atom) = 0.281
- VASP energy (eV/atom) = -5.0807



3.
DFT (PBE) results for a geometry-optimized YMgSe3 structure.

abc: 7.0898 7.0898 18.4190
angles: 90.00 90.00 120.00
With the nearest neighbours (Å) after each atom.
Space group R-3 (No. 148, hexagonal axes)
Unique sites:
Y  0.0000  0.0000  0.1536 (multiplicity 6)  6 Se 2.84-2.87
Mg  0.0000  0.0000  0.3470 (multiplicity 6)  6 Se 2.69-2.81
Se  0.0107  0.3176  0.2527 (multiplicity 18)  2 Mg 2.69-2.81, 2 Y 2.84-2.87

## Properties
- ΔE_f (raw) (eV per formula unit) = -6.22
- E above lowest polymorph (eV per atom) = 0.000
- VASP energy (eV/atom) = -4.9460



4.
DFT (PBE) results for a geometry-optimized Y5MgSe6 structure.

abc: 7.0284 12.2430 7.0189
angles: 90.00 109.50 90.00
With the nearest neighbours (Å) after each atom.
Space group C2/m (No. 12)
Unique sites:
Y  0.0000  0.0000  0.0000 (multiplicity 2)  6 Se 2.87-2.99
Y  0.0000  0.1672  0.5000 (multiplicity 4)  6 Se 2.88-2.90
Y  0.0000  0.3279  0.0000 (multiplicity 4)  6 Se 2.86-2.95
Mg  0.0000  0.5000  0.5000 (multiplicity 2)  6 Se 2.74-2.75
Se  0.2358  0.5000  0.2574 (multiplicity 4)  1 Mg 2.74, 5 Y 2.90-2.99
Se  0.2390  0.3410  0.7409 (multiplicity 8)  1 Mg 2.75, 5 Y 2.86-2.95

## Properties
- ΔE_f (raw) (eV per formula unit) = -19.83
- VASP energy (eV/atom) = -6.2214



What did the third record say?
DFT (PBE) results for a geometry-optimized YMgSe3 structure.

abc: 7.0898 7.0898 18.4190
angles: 90.00 90.00 120.00
With the nearest neighbours (Å) after each atom.
Space group R-3 (No. 148, hexagonal axes)
Unique sites:
Y  0.0000  0.0000  0.1536 (multiplicity 6)  6 Se 2.84-2.87
Mg  0.0000  0.0000  0.3470 (multiplicity 6)  6 Se 2.69-2.81
Se  0.0107  0.3176  0.2527 (multiplicity 18)  2 Mg 2.69-2.81, 2 Y 2.84-2.87

## Properties
- ΔE_f (raw) (eV per formula unit) = -6.22
- E above lowest polymorph (eV per atom) = 0.000
- VASP energy (eV/atom) = -4.9460



What is the formula in the third record?
YMgSe3
********
End of the calculated crystals

  1. Select the root element of your site or the specific page you want to modify.
  2. In the Styles panel on the right-hand side, click on the gear icon next to the Typography section.
  3. This will open the "Root settings" or "Page settings" dialogue box.
  4. Under the "Default font size" section, you will find a dropdown menu with options like "Rem" and "Em".
  5. Choose either rem or em from the dropdown depending on your preference.
  6. Enter the desired value in the input field next to the dropdown to set the initial font size for the site or page.
  7. Click outside the dialogue box to apply the changes.

It's important to note that when using rem and em units, the font sizes of elements within the site or page will be relative to this initial value. This allows for easy adjustments and consistency throughout your design.

Additionally, you can also set font sizes using rem or em units on individual elements by directly modifying the typography settings within the Styles panel.

By using rem and em units in Webflow, you can create responsive and accessible typography that can adapt to various devices and screen sizes, enhancing the overall user experience of your website.


## How to set the initial value for `rem` or `em` units in Webflow1. Select the root element of your site or a specific page.2. Open the Styles panel on the right-hand side.3. Click on the gear icon next to the Typography section.4. In the "Root settings" or "Page settings" dialogue box, choose the desired unit (`rem` or `em`) from the dropdown menu.5. Enter the initial font size value in the input field next to the dropdown.6. Click outside the dialogue box to apply the changes.7. Modify font sizes of individual elements using `rem` or `em` units in the Styles panel directly.

Additional questions related to this topic:

  1. Can I use both rem and em units in the same project in Webflow?
  2. How do I change the font size of specific text elements using rem or em units in Webflow?
  3. Are rem or em units recommended for responsive typography in Webflow?